View Full Version : Masking a number

- 6th February 2016, 08:32

I'm programming a PIC in Oshonsoft basic, and have come across a problem.

When using SINGLE as a variable. When two numbers as a variable should be equal. e,g, a=0 b=0 If a=b then turn on LED. When these numbers should natch they don't. It's something to do with rounding up. Someone told me too quickly for me to understand, how to use MASKING, but I didn't quite follow.

Can anyone explain how to do this in Basic please, or if possible Oshonsoft basic. I know this isn't an Oshonsoft forum.


- 6th February 2016, 10:24
if a and b are int type variables and a=0 b=0 then If the statement a==b does not return a true result then that is a bug in Oshonsoft basic {unless Oshonsoft basic is weird}
however if a and or b are of a float type then a true result is not guaranteed ( at least in c or c++ ) for equals type comparisons .
digit masking of float data types is an invalid action , only int data types can be meaningfully masked

since this is a pbp forum (where Oshonsoft basic vagaries not really known) you need to provide more info about your available variable types for a more detailed answer

- 6th February 2016, 11:01
Hi Richard,

I tried it in Oshonsoft, using a calculation where 1 then = 0.995. when a and b (both = 1) are tried, the variable keeps rounding up and down, so I'll have to find how to get over the Oshonsoft problem.

I'm not good at maths, so can you explain what 'digit masking of float types is an invalid action' please. I think that INT = a whole number with nothing after the decimal point??


- 6th February 2016, 11:16
pbp has no floating point type vars so a discussion about floating point arithmetic on this forum is probably inappropriate

a value like 0.995 is a float type .
google "comparing floating point numbers" for an explanation

- 6th February 2016, 11:32
for your second question

I'm not good at maths, so can you explain what 'digit masking of float types is an invalid action' please
I think you mean
I'm not good at maths, so can you explain why 'digit masking of float types is an invalid action' please

see this link for how a computer stores a floating point number (I would assume Oshonsoft uses ieee754 32 bit floats) masking floats is entirely inappropriate


- 6th February 2016, 12:39
Ok, thanks. C.

- 6th February 2016, 12:42
for your second question

I think you mean
I'm not good at maths, so can you explain why 'digit masking of float types is an invalid action' please

see this link for how a computer stores a floating point number (I would assume Oshonsoft uses ieee754 32 bit floats) masking floats is entirely inappropriate


Hi R,

It appears that I'm not good at English either:rolleyes:

'''
(1)
Theoretical X-ray powder pattern of CsBaInSe3 for Cu Kα (λ = 1.5418 Å), from a crystal structure in Alexandria, relaxed with PBE.
Intensities are scaled so that the largest is 100.

Crystal structure
```
12
Lattice="8.8287 -2.7707 0.0000 8.8287 2.7707 0.0000 -2.3389 0.0000 9.3217" Properties=species:S:1:pos:R:3 pbc="T T T"
Cs 2.4881 0.0000 0.6015
Cs 12.8303 0.0000 8.7201
Ba 1.2529 0.0000 5.2899
Ba 14.0655 0.0000 4.0317
In 6.9865 0.0000 6.7387
In 8.3319 0.0000 2.5829
Se -0.6108 0.0000 2.5791
Se 4.4788 0.0000 6.0768
Se 5.8062 0.0000 2.0518
Se 9.5122 0.0000 7.2698
Se 10.8396 0.0000 3.2449
Se 15.9292 0.0000 6.7426
```

Top 12 peaks for 10 to 90 degrees two-theta, in order of rising 2θ:
| d/Å | two_theta | I (rel.) |
| --- | --- | --- |
| 3.730 | 23.9 | 19 |
| 3.628 | 24.5 | 100 |
| 2.854 | 31.3 | 29 |
| 2.800 | 32.0 | 22 |
| 2.771 | 32.3 | 41 |
| 2.739 | 32.7 | 15 |
| 2.402 | 37.4 | 19 |
| 2.268 | 39.7 | 12 |
| 2.221 | 40.6 | 26 |
| 1.988 | 45.6 | 20 |
| 1.814 | 50.3 | 25 |
| 1.724 | 53.1 | 10 |

---

(2)
Theoretical X-ray powder pattern of Y12AlNi6 for Cu Kα (λ = 1.5418 Å), from a crystal structure in Alexandria, relaxed with PBE.
Intensities are scaled so that the largest is 100.

Crystal structure
```
19
Lattice="-4.8583 4.8583 4.8583 4.8583 -4.8583 4.8583 4.8583 4.8583 -4.8583" Properties=species:S:1:pos:R:3 pbc="T T T"
Y 4.8583 -1.9340 3.0432
Y 2.9243 1.8152 0.0000
Y 6.7924 1.8152 0.0000
Y 3.0432 4.8583 -1.9340
Y 1.8152 0.0000 2.9243
Y 0.0000 2.9243 1.8152
Y 4.8583 1.9340 3.0432
Y 3.0432 4.8583 1.9340
Y 1.8152 0.0000 6.7924
Y -1.9340 3.0432 4.8583
Y 1.9340 3.0432 4.8583
Y 0.0000 6.7924 1.8152
Al 0.0000 0.0000 0.0000
Ni 4.8583 0.0000 1.1916
Ni 4.8583 3.6667 0.0000
Ni 1.1916 4.8583 0.0000
Ni 3.6667 0.0000 4.8583
Ni 0.0000 1.1916 4.8583
Ni 0.0000 4.8583 3.6667
```

Top 12 peaks for 10 to 90 degrees two-theta, in order of rising 2θ:
| d/Å | two_theta | I (rel.) |
| --- | --- | --- |
| 6.871 | 12.9 | 14 |
| 3.073 | 29.1 | 18 |
| 2.805 | 31.9 | 30 |
| 2.597 | 34.5 | 100 |
| 2.429 | 37.0 | 13 |
| 2.290 | 39.3 | 13 |
| 1.906 | 47.7 | 23 |
| 1.666 | 55.1 | 25 |
| 1.619 | 56.9 | 14 |
| 1.576 | 58.6 | 24 |
| 1.374 | 68.3 | 14 |
| 1.130 | 86.1 | 15 |

---

(3)
Theoretical X-ray powder pattern of Sr2Ge2Br for Cu Kα (λ = 1.5418 Å), from a crystal structure in Alexandria, relaxed with PBE.
Intensities are scaled so that the largest is 100.

Crystal structure
```
10
Lattice="8.0764 0.0000 0.0000 0.0000 4.4688 0.0000 -2.7220 0.0000 8.3695" Properties=species:S:1:pos:R:3 pbc="T T T"
Sr -0.0191 0.0000 2.0350
Sr 1.3353 2.2344 6.3345
Sr 4.0191 2.2344 2.0350
Sr 5.3735 0.0000 6.3345
Ge 1.3336 2.2344 0.0887
Ge -0.0174 0.0000 8.2808
Ge 5.3718 0.0000 0.0887
Ge 4.0207 2.2344 8.2808
Br -1.3610 2.2344 4.1847
Br 2.6772 0.0000 4.1847
```

Top 12 peaks for 10 to 90 degrees two-theta, in order of rising 2θ:
| d/Å | two_theta | I (rel.) |
| --- | --- | --- |
| 8.369 | 10.6 | 29 |
| 3.141 | 28.4 | 50 |
| 3.088 | 28.9 | 100 |
| 2.687 | 33.4 | 29 |
| 2.641 | 33.9 | 57 |
'''

Thanks, I'll check the link.
